
共同繁荣的: A Picture’s Worth

Created: April 16, 2020  |  Last Updated: October 5, 2021  |  Category:   |标签:

=====
Entry 1:
Diffraction record for LaPaZnGa. The powder X-ray diffraction pattern is computed, not measured: it uses a crystal structure in Alexandria, relaxed with GGA-PBE and Cu Ka.
Peak positions follow from Bragg's law for the DFT cell and can differ from measured ones.

Atomic structure:
a = 7.2892 Å, b = 7.2892 Å, c = 7.2892 Å
α = 90.00°, β = 90.00°, γ = 90.00°
Fractional positions:
La 0.0000 0.0000 0.0000
La 0.0000 0.5000 0.5000
La 0.5000 0.0000 0.5000
La 0.5000 0.5000 0.0000
Pa 0.0000 0.0000 0.5000
Pa 0.0000 0.5000 0.0000
Pa 0.5000 0.0000 0.0000
Pa 0.5000 0.5000 0.5000
Zn 0.2500 0.2500 0.7500
Zn 0.2500 0.7500 0.2500
Zn 0.7500 0.2500 0.2500
Zn 0.7500 0.7500 0.7500
Ga 0.2500 0.2500 0.2500
Ga 0.2500 0.7500 0.7500
Ga 0.7500 0.2500 0.7500
Ga 0.7500 0.7500 0.2500

Main lines, by intensity (2θ = 15–90°):
2θ 34.81, I = 100
2θ 62.41, I = 37
2θ 24.42, I = 22
2θ 50.05, I = 18
2θ 83.96, I = 16
2θ 73.49, I = 11

=====

Entry 2:
Diffraction record for Tb5Pm3Pr3. The powder X-ray diffraction pattern is computed, not measured: it uses a crystal structure in Alexandria, relaxed with GGA-PBE and Cu Ka.
Peak positions follow from Bragg's law for the DFT cell and can differ from measured ones.

Atomic structure:
a = 9.6796 Å, b = 9.6796 Å, c = 5.5935 Å
α = 90.00°, β = 90.00°, γ = 120.00°
Fractional positions:
Tb 0.0000 0.7313 0.0000
Tb 0.2687 0.2687 0.0000
Tb 0.3333 0.6667 0.0000
Tb 0.6667 0.3333 0.0000
Tb 0.7313 0.0000 0.0000
Pm 0.0000 0.5322 0.5000
Pm 0.4678 0.4678 0.5000
Pm 0.5322 0.0000 0.5000
Pr 0.0000 0.3659 0.0000
Pr 0.3659 0.0000 0.0000
Pr 0.6341 0.6341 0.0000

Main lines, by intensity (2θ = 15–90°):
2θ 32.01, I = 100
2θ 35.93, I = 98
2θ 26.57, I = 74
2θ 15.84, I = 66
2θ 32.48, I = 62
2θ 59.63, I = 41

=====

Entry 3:
Diffraction record for TbNd2In6. The powder X-ray diffraction pattern is computed, not measured: it uses a crystal structure in Alexandria, relaxed with GGA-PBE and Cu Ka.
Peak positions follow from Bragg's law for the DFT cell and can differ from measured ones.

Atomic structure:
a = 8.6600 Å, b = 8.6600 Å, c = 3.6770 Å
α = 90.00°, β = 90.00°, γ = 120.00°
Fractional positions:
Tb 0.0000 0.0000 0.0000
Nd 0.3333 0.6667 0.0000
Nd 0.6667 0.3333 0.0000
In 0.0000 0.3318 0.5000
In 0.0000 0.6682 0.5000
In 0.3318 0.0000 0.5000
In 0.3318 0.3318 0.5000
In 0.6682 0.0000 0.5000
In 0.6682 0.6682 0.5000

Main lines, by intensity (2θ = 15–90°):
2θ 31.93, I = 100
2θ 35.92, I = 75
2θ 48.81, I = 30
2θ 62.08, I = 29
2θ 62.73, I = 29
2θ 64.57, I = 13

=====

Entry 4:
Diffraction record for K8Na5. The powder X-ray diffraction pattern is computed, not measured: it uses a crystal structure in Alexandria, relaxed with GGA-PBE and Cu Ka.
Peak positions follow from Bragg's law for the DFT cell and can differ from measured ones.

Atomic structure:
a = 12.5000 Å, b = 12.5000 Å, c = 12.5000 Å
α = 109.34°, β = 109.34°, γ = 109.34°
Fractional positions:
K 0.0000 0.0000 0.0000
K 0.0738 0.0738 0.7097
K 0.0738 0.7097 0.0738
K 0.3071 0.9282 0.9282
K 0.3211 0.5560 0.9520
=====
# End of the data records

WASHINGTON, PA (April 16, 2020) – As she did at the beginning of every semester, English Professor 琳达·特罗斯特博士.D. photographed her students in their seats this past January to help her match names to faces in her small class. She didn’t know then that the resulting photograph itself would, in a way, become her audience.

So it goes for the teaching life amidst the Covid-19 pandemic as colleges and universities across the country adjust to a new normal outside the traditional classroom. These days, Troost, who has been teaching at 华盛顿 & det365app in for 35 years, now records a weekly series of short class lectures—like podcasts, she says—from her living room, 独自一人. In front of her: a computer screen, notes, and the picture of her students.

_Inserted here: materials data_
# Nd6CdFe13
Theoretical PXRD pattern, Cu Kα (weighted mean of Kα1 and Kα2). Input: a crystal structure in the Materials Project, relaxed with PBE.
Neutral-atom scattering factors, no anomalous dispersion.

Lattice parameters (Å, degrees): 12.862 12.862 12.862 143.58 143.58 52.45
Sites, in units of the cell vectors:
1 Nd 0.023 0.523 0.175
2 Nd 0.105 0.105 0.000
3 Nd 0.152 0.977 0.500
4 Nd 0.348 0.848 0.825
5 Nd 0.395 0.395 0.000
6 Nd 0.477 0.652 0.500
7 Nd 0.523 0.348 0.500
8 Nd 0.605 0.605 0.000
9 Nd 0.652 0.152 0.175
10 Nd 0.848 0.023 0.500
11 Nd 0.895 0.895 0.000
12 Nd 0.977 0.477 0.825
13 Cd 0.250 0.250 0.000
14 Cd 0.750 0.750 0.000
15 Fe 0.000 0.500 0.500
16 Fe 0.019 0.291 0.500
17 Fe 0.067 0.211 0.278
18 Fe 0.119 0.619 0.857
19 Fe 0.209 0.481 0.500
20 Fe 0.211 0.933 0.144
21 Fe 0.237 0.737 0.857
22 Fe 0.263 0.119 0.500
23 Fe 0.289 0.433 0.722
24 Fe 0.291 0.791 0.272
25 Fe 0.381 0.237 0.500
26 Fe 0.433 0.711 0.144
27 Fe 0.481 0.981 0.272
28 Fe 0.500 0.000 0.500
29 Fe 0.519 0.019 0.728
30 Fe 0.567 0.289 0.856
31 Fe 0.619 0.763 0.500
32 Fe 0.709 0.209 0.728
33 Fe 0.711 0.567 0.278
34 Fe 0.737 0.881 0.500
35 Fe 0.763 0.263 0.143
36 Fe 0.789 0.067 0.856
37 Fe 0.791 0.519 0.500
38 Fe 0.881 0.381 0.143
39 Fe 0.933 0.789 0.722
40 Fe 0.981 0.709 0.500

The 10 most intense peaks (2θ from 10° to 90°), low angle first:
2theta, I (rel.)
27.4, 73
31.5, 100
32.2, 30
34.9, 30
35.3, 85
38.4, 56
43.3, 43
46.8, 35
58.3, 31
67.8, 33

----------

(1)
Calculated powder XRD pattern of Ba3CrF12 for CuKα, from a crystal structure in Alexandria, relaxed with PBE+U.

Peak list (10 most intense, 15 to 90 degrees two-theta, in order of rising 2θ)
Position (°2θ)	intensity
19.05	100
22.58	39
23.84	83
34.86	41
35.74	24
37.62	36
38.65	43
43.22	33
46.12	28
48.79	23

Structural model:
Unit cell a=7.9845 b=7.9845 c=6.6504 alpha=92.94 beta=92.94 gamma=110.35
Fractional positions:
Ba: 0.0000 0.0000 0.0000
Ba: 0.0000 0.5000 0.5000
Ba: 0.5000 0.0000 0.5000
Cr: 0.0000 0.0000 0.5000
F: 0.0372 0.2154 0.3270
F: 0.0410 0.2211 0.6889
F: 0.2154 0.0372 0.3270
F: 0.2211 0.0410 0.6889
F: 0.3176 0.6629 0.3479
F: 0.3371 0.6824 0.6521
F: 0.6629 0.3176 0.3479
F: 0.6824 0.3371 0.6521
F: 0.7789 0.9590 0.3110
F: 0.7846 0.9628 0.6730
F: 0.9590 0.7789 0.3110
F: 0.9628 0.7846 0.6730

(2)
Calculated powder XRD pattern of Ba2Cr3F10 for CuKα, from a crystal structure in Alexandria, relaxed with PBE+U.

Peak list (10 most intense, 15 to 90 degrees two-theta, in order of rising 2θ)
Position (°2θ)	intensity
26.31	100
26.44	54
26.95	95
27.09	55
28.33	70
36.52	47
39.60	81
47.40	30
50.21	24
53.91	24

Structural model:
Unit cell a=10.0117 b=10.0117 c=7.9597 alpha=110.20 beta=110.20 gamma=38.38
Fractional positions:
Ba: 0.1116 0.1116 0.2132
Ba: 0.1968 0.2330 0.8195
Ba: 0.7670 0.8032 0.1805
Ba: 0.8884 0.8884 0.7868
Cr: 0.2124 0.7876 0.5000
Cr: 0.3213 0.3215 0.4802
Cr: 0.4042 0.4390 0.0383
Cr: 0.5610 0.5958 0.9617
Cr: 0.6785 0.6787 0.5198
Cr: 0.7321 0.2679 0.5000
F: 0.0320 0.4471 0.4525
F: 0.0863 0.6927 0.4758

“It gives me a sense of who my audience is,” said Troost of her now-cherished 8 and a half-inch by 11-inch reminder of whom she is educating. Asked if she realized when she took the photo how important it would become during these self-quarantined circumstances, 她很快就回答了, “Oh, 我的天啊, no.”

Having that virtual audience in front of her, Troost说, also helps her to remember to keep her lectures compelling in front of the camera. That can prove challenging in her higher-level Survey of British Literature, and History of Literary Theory and Criticism courses, which include her recorded lectures, reading and blogging assignments, 电子邮件讨论链, 定期的小测验.

“I’ve always thought of teaching as sort of stand-up comedy,” she says. “我的父亲, 路德教牧师, 我总是说, 教育和告知, you have to think about how to move people. So I work more these days on trying to do that.”

No stranger to advanced computer technology, Troost nonetheless said her secret to success so far has been to keep things simple for her students. That’s why she has managed her class from a single digital platform, Sakai Learning 管理 System, 在校园内广泛使用.

“I keep the platform simple, and I do everything in small units,” she said. “It’s very easy to adapt to my course. I understand how fragile Internet connections can be and what it’s like to not have a good connection.”

And the photograph of her students, she said, just makes that connection better.

This article is part of 共同繁荣的, a series of articles and videos showcasing the ways in which W&J community members are here for each other during this unprecedented time. Read other articles in the series in the W&J新闻板块.

Records of crystals that have nothing to do with the piece:
........
For Pr4Nd2YMg, a structure optimized by DFT (GGA-PBE) gives the simulated powder X-ray diffraction pattern in this record (CuKα).
Lines closer than 0.1° are merged.

Top 12 peaks for 5 to 70 degrees two-theta, in order of rising 2θ:
2θ = 17.27°, I 3; 2θ = 19.35°, I 9; 2θ = 24.55°, I 3; 2θ = 30.17°, I 100; 2θ = 31.41°, I 3; 2θ = 34.98°, I 51; 2θ = 40.31°, I 3; 2θ = 47.72°, I 3; 2θ = 50.31°, I 36; 2θ = 59.72°, I 14; 2θ = 59.82°, I 28; 2θ = 62.74°, I 12

Cell and atoms:
a b c (Å): 5.126 5.126 10.276
angles (deg): 90.00 90.00 90.00
Fractional coordinates of all 8 atoms:
Pr 0.000 0.500 0.247
Pr 0.000 0.500 0.753
Pr 0.500 0.000 0.247
Pr 0.500 0.000 0.753
Nd 0.000 0.000 0.000
Nd 0.500 0.500 0.500
Y 0.000 0.000 0.500
Mg 0.500 0.500 0.000

For Nd2MgPt9, a structure optimized by DFT (GGA-PBE) gives the simulated powder X-ray diffraction pattern in this record (CuKα).
Lines closer than 0.1° are merged.

Top 12 peaks for 5 to 70 degrees two-theta, in order of rising 2θ:
2θ = 19.14°, I 48; 2θ = 19.97°, I 20; 2θ = 32.93°, I 25; 2θ = 38.39°, I 24; 2θ = 38.82°, I 100; 2θ = 40.59°, I 46; 2θ = 41.92°, I 89; 2θ = 45.27°, I 27; 2θ = 51.47°, I 8; 2θ = 62.78°, I 23; 2θ = 64.98°, I 16; 2θ = 69.11°, I 27

Cell and atoms:
a b c (Å): 9.437 9.437 9.437
angles (deg): 33.48 33.48 33.48
Fractional coordinates of all 12 atoms:
Nd 0.137 0.137 0.137
Nd 0.863 0.863 0.863
Mg 0.000 0.000 0.000
Pt 0.080 0.586 0.586
Pt 0.333 0.333 0.333
Pt 0.414 0.414 0.920
Pt 0.414 0.920 0.414
Pt 0.500 0.500 0.500
Pt 0.586 0.080 0.586
Pt 0.586 0.586 0.080
Pt 0.667 0.667 0.667
Pt 0.920 0.414 0.414

For Nd3Mg2Pt3, a structure optimized by DFT (GGA-PBE) gives the simulated powder X-ray diffraction pattern in this record (CuKα).
Lines closer than 0.1° are merged.

Top 12 peaks for 5 to 70 degrees two-theta, in order of rising 2θ:
2θ = 20.74°, I 63; 2θ = 30.24°, I 52; 2θ = 35.43°, I 100; 2θ = 36.33°, I 48; 2θ = 36.95°, I 47; 2θ = 46.75°, I 38; 2θ = 47.97°, I 32; 2θ = 56.24°, I 12; 2θ = 57.14°, I 26; 2θ = 62.89°, I 8; 2θ = 65.60°, I 14; 2θ = 68.82°, I 21

Cell and atoms:
a b c (Å): 8.567 8.567 5.911
angles (deg): 90.00 90.00 120.00
Fractional coordinates of all 16 atoms:
Nd 0.000 0.272 0.250
Nd 0.000 0.728 0.750
Nd 0.272 0.000 0.250
Nd 0.272 0.272 0.750
Nd 0.728 0.000 0.750
Nd 0.728 0.728 0.250
Mg 0.333 0.667 0.000
Mg 0.333 0.667 0.500
Mg 0.667 0.333 0.000
Mg 0.667 0.333 0.500
Pt 0.000 0.391 0.750
Pt 0.000 0.609 0.250
Pt 0.391 0.000 0.750
Pt 0.391 0.391 0.250
Pt 0.609 0.000 0.250
Pt 0.609 0.609 0.750

For Nd3MgPt, a structure optimized by DFT (GGA-PBE) gives the simulated powder X-ray diffraction pattern in this record (CuKα).
Lines closer than 0.1° are merged.

Top 12 peaks for 5 to 70 degrees two-theta, in order of rising 2θ:
2θ = 10.42°, I 78; 2θ = 18.01°, I 27; 2θ = 30.58°, I 34; 2θ = 30.70°, I 35; 2θ = 31.62°, I 16; 2θ = 33.35°, I 100; 2θ = 34.12°, I 19; 2θ = 36.63°, I 23; 2θ = 38.19°, I 54; 2θ = 46.61°, I 13; 2θ = 48.51°, I 18; 2θ = 55.54°, I 18

Cell and atoms:
a b c (Å): 9.813 9.168 6.022
........
So much for the records of crystals:


对华盛顿 & det365app

华盛顿 & det365app, located in 华盛顿, Pa., is a selective liberal arts college founded in 1781. Committed to providing each of its students with the highest-quality undergraduate education available, W&J offers a traditional arts and sciences curriculum emphasizing interdisciplinary study and independent study work. For more information about W&J,访问 epm.lookforstudies.com,或致电888 - w -和-杰.